# Entries
........
[1]
# K22Nb13In11P24O120 (PBE, optimized geometry)
data_K22Nb13In11P24O120
_cell_length_a 9.462
_cell_length_b 9.485
_cell_length_c 33.253
_cell_angle_alpha 90.10
_cell_angle_beta 90.12
_cell_angle_gamma 90.16
_space_group_name_H-M_alt 'P 1'
_space_group_IT_number 1
_space_group_name_Hall 'P 1'
loop_
_atom_site_label
_atom_site_fract_x
_atom_site_fract_y
_atom_site_fract_z
K1 0.000 0.000 0.000
K2 0.000 0.000 0.333
K3 0.009 0.548 0.167
K4 0.009 0.548 0.834
K5 0.223 0.775 0.584
K6 0.230 0.779 0.250
K7 0.230 0.779 0.917
K8 0.278 0.255 0.751
K9 0.279 0.258 0.084
K10 0.279 0.260 0.417
K11 0.488 0.500 0.000
K12 0.488 0.500 0.334
K13 0.490 0.501 0.667
K14 0.520 0.046 0.500
K15 0.521 0.048 0.167
K16 0.521 0.048 0.834
K17 0.731 0.290 0.250
K18 0.731 0.290 0.917
K19 0.731 0.292 0.584
K20 0.779 0.769 0.083
K21 0.783 0.767 0.418
K22 0.784 0.773 0.749
Nb1 0.108 0.388 0.316
Nb2 0.109 0.388 0.983
Nb3 0.113 0.393 0.652
Nb4 0.140 0.148 0.567
Nb5 0.390 0.877 0.399
Nb6 0.391 0.878 0.066
Nb7 0.391 0.879 0.732
Nb8 0.619 0.670 0.233
Nb9 0.619 0.670 0.899
Nb10 0.623 0.670 0.566
Nb11 0.894 0.157 0.481
Nb12 0.901 0.160 0.149
Nb13 0.901 0.160 0.815
In1 0.147 0.145 0.899
In2 0.148 0.145 0.232
In3 0.371 0.629 0.483
In4 0.375 0.631 0.149
In5 0.376 0.631 0.816
In6 0.634 0.917 0.315
In7 0.634 0.917 0.982
In8 0.641 0.917 0.650
In9 0.858 0.402 0.733
In10 0.862 0.403 0.066
In11 0.865 0.408 0.400
P1 0.171 0.596 0.734
P2 0.172 0.595 0.066
P3 0.172 0.595 0.400
P4 0.182 0.943 0.483
P5 0.183 0.941 0.150
P6 0.184 0.941 0.816
P7 0.330 0.102 0.652
P8 0.330 0.449 0.569
P9 0.331 0.102 0.319
P10 0.331 0.102 0.985
P11 0.332 0.447 0.235
P12 0.332 0.448 0.902
P13 0.676 0.100 0.735
P14 0.676 0.102 0.402
P15 0.677 0.101 0.069
P16 0.678 0.446 0.152
P17 0.678 0.446 0.819
P18 0.679 0.448 0.485
P19 0.825 0.606 0.650
P20 0.826 0.607 0.317
P21 0.826 0.607 0.983
P22 0.837 0.957 0.567
P23 0.838 0.953 0.233
P24 0.838 0.953 0.900
O1 0.000 0.974 0.572
O2 0.001 0.308 0.023
O3 0.001 0.308 0.357
O4 0.008 0.241 0.190
O5 0.008 0.241 0.856
O6 0.010 0.587 0.739
O7 0.011 0.590 0.073
O8 0.011 0.590 0.405
O9 0.019 0.220 0.526
O10 0.025 0.987 0.475
O11 0.026 0.987 0.143
O12 0.026 0.987 0.810
O13 0.039 0.274 0.276
O14 0.039 0.274 0.942
O15 0.054 0.270 0.606
O16 0.189 0.780 0.156
O17 0.189 0.780 0.823
O18 0.194 0.785 0.491
O19 0.217 0.752 0.060
O20 0.217 0.753 0.393
O21 0.219 0.750 0.726
O22 0.220 0.510 0.696
O23 0.222 0.511 0.029
O24 0.222 0.511 0.362
O25 0.236 0.024 0.522
O26 0.246 0.530 0.771
O27 0.246 0.532 0.104
O28 0.247 0.015 0.188
O29 0.247 0.015 0.854
O30 0.248 0.037 0.283
O31 0.248 0.037 0.949
O32 0.248 0.048 0.614
O33 0.249 0.532 0.437
O34 0.252 0.494 0.608
O35 0.253 0.494 0.274
O36 0.253 0.494 0.941
O37 0.267 0.527 0.532
O38 0.268 0.531 0.200
O39 0.268 0.531 0.866
O40 0.268 0.990 0.779
O41 0.268 0.991 0.113
O42 0.270 0.995 0.447
O43 0.284 0.020 0.690
O44 0.284 0.023 0.024
O45 0.285 0.023 0.358
O46 0.287 0.260 0.325
O47 0.287 0.260 0.659
O48 0.287 0.260 0.992
O49 0.308 0.285 0.562
O50 0.328 0.287 0.228
O51 0.328 0.287 0.895
O52 0.470 0.771 0.440
O53 0.471 0.771 0.106
O54 0.471 0.771 0.773
O55 0.489 0.095 0.643
O56 0.489 0.483 0.575
O57 0.490 0.492 0.242
O58 0.491 0.492 0.908
O59 0.492 0.097 0.312
O60 0.492 0.098 0.978
O61 0.504 0.809 0.025
O62 0.504 0.809 0.359
O63 0.504 0.809 0.692
O64 0.505 0.739 0.192
O65 0.505 0.740 0.859
O66 0.506 0.737 0.526
O67 0.517 0.451 0.811
O68 0.518 0.057 0.742
O69 0.518 0.448 0.478
O70 0.518 0.451 0.145
O71 0.519 0.057 0.075
O72 0.520 0.057 0.409
O73 0.538 0.777 0.273
O74 0.538 0.777 0.940
O75 0.541 0.777 0.606
O76 0.679 0.261 0.728
O77 0.681 0.261 0.061
O78 0.685 0.261 0.395
O79 0.722 0.288 0.158
O80 0.722 0.289 0.825
O81 0.722 0.525 0.525
O82 0.725 0.526 0.191
O83 0.725 0.526 0.858
O84 0.728 0.289 0.492
O85 0.740 0.555 0.612
O86 0.741 0.018 0.700
O87 0.741 0.557 0.279
O88 0.741 0.557 0.946
O89 0.742 0.017 0.033
O90 0.742 0.017 0.366
O91 0.755 0.055 0.774
O92 0.756 0.054 0.107
O93 0.758 0.055 0.441
O94 0.758 0.511 0.449
O95 0.761 0.511 0.116
........

# Exercise
What is needed: type out only the lines further above with the word "K16" in them.

# Worked solution
K16 0.521 0.048 0.834